Source:
┌──
DFT (GGA-PBE) results for a relaxed TbNdAs2Pt2 crystal.

Output
Raw total energy ... -76.66 eV for the cell shown
Energy relative to the lowest polymorph listed for this composition ... 0 meV/atom
Calculated density ... 11.135 g cm⁻³
Magnetic moment ... 0.00 μB/f.u.

abc: 4.326 4.326 15.519
angles: 90.00 90.00 120.00
Sites, in units of the cell vectors:
Tb (0.000, 0.000, 0.250)
Tb (0.000, 0.000, 0.750)
Nd (0.000, 0.000, 0.000)
Nd (0.000, 0.000, 0.500)
As (0.333, 0.667, 0.120)
As (0.333, 0.667, 0.380)
As (0.667, 0.333, 0.620)
As (0.667, 0.333, 0.880)
Pt (0.333, 0.667, 0.640)
Pt (0.333, 0.667, 0.860)
Pt (0.667, 0.333, 0.140)
Pt (0.667, 0.333, 0.360)

----------

(1)
# Ni3Te5Au PBE optimized geometry
# Crystal system: hexagonal
# ρ, Mg/m³: 8.3
# Total magnetic moment, μB/cell: 0.01
# Calculated total energy, eV/atom: -3.907
data_Ni3Te5Au
_cell_length_a 5.5354
_cell_length_b 5.5354
_cell_length_c 7.6398
_cell_angle_alpha 90.00
_cell_angle_beta 90.00
_cell_angle_gamma 120.00
_space_group_name_H-M_alt 'P 1'
_space_group_IT_number 1
loop_
_space_group_symop_operation_xyz
'x,y,z'
loop_
_atom_site_label
_atom_site_type_symbol
_atom_site_fract_x
_atom_site_fract_y
_atom_site_fract_z
Au1 Au 0.0000 0.0000 0.0000
Ni1 Ni 0.5000 0.0000 0.5000
Ni2 Ni 0.0000 0.5000 0.5000
Ni3 Ni 0.5000 0.5000 0.5000
Te1 Te 0.6667 0.3333 0.2332
Te2 Te 0.3333 0.6667 0.2332
Te3 Te 0.0000 0.0000 0.5000
Te4 Te 0.6667 0.3333 0.7668
Te5 Te 0.3333 0.6667 0.7668

---

(2)
# TlNiTe3Au PBE optimized geometry
# Energy above the lowest structure with this stoichiometry, meV per atom: 0
# Crystal system: orthorhombic
# ρ, Mg/m³: 8.3
# Total magnetic moment, μB/cell: 0.01
# Calculated total energy, eV/atom: -3.584
data_TlNiTe3Au
_cell_length_a 14.9344
_cell_length_b 3.9208
_cell_length_c 11.4505
_cell_angle_alpha 90.00
_cell_angle_beta 90.00
_cell_angle_gamma 90.00
_space_group_name_H-M_alt 'P 1'
_space_group_IT_number 1
loop_
_space_group_symop_operation_xyz
'x,y,z'
loop_
_atom_site_label
_atom_site_type_symbol
_atom_site_fract_x
_atom_site_fract_y
_atom_site_fract_z
Au1 Au 0.2937 0.2500 0.2496
Au2 Au 0.7937 0.2500 0.2504
Au3 Au 0.2063 0.7500 0.7496
Au4 Au 0.7063 0.7500 0.7504
Ni1 Ni 0.5353 0.7500 0.1370
Ni2 Ni 0.0353 0.7500 0.3630
Ni3 Ni 0.9647 0.2500 0.6370
Ni4 Ni 0.4647 0.2500 0.8630
Te1 Te 0.5961 0.2500 0.0073
Te2 Te 0.1670 0.7500 0.2172
Te3 Te 0.9714 0.2500 0.2335
Te4 Te 0.4714 0.2500 0.2665
Te5 Te 0.6670 0.7500 0.2828
Te6 Te 0.0961 0.2500 0.4927
Te7 Te 0.9039 0.7500 0.5073
Te8 Te 0.3330 0.2500 0.7172
Te9 Te 0.5286 0.7500 0.7335
Te10 Te 0.0286 0.7500 0.7665
Te11 Te 0.8330 0.2500 0.7828
Te12 Te 0.4039 0.7500 0.9927
Tl1 Tl 0.8164 0.7500 0.0318
Tl2 Tl 0.3164 0.7500 0.4682
Tl3 Tl 0.6836 0.2500 0.5318
Tl4 Tl 0.1836 0.2500 0.9682

---

(3)
# TlNiTe3Au PBE optimized geometry
# Energy above the lowest structure with this stoichiometry, meV per atom: 115
# Crystal system: orthorhombic
# ρ, Mg/m³: 9.2
# Total magnetic moment, μB/cell: 0.01
# Calculated total energy, eV/atom: -3.469
data_TlNiTe3Au
_cell_length_a 8.0554
_cell_length_b 4.2603
_cell_length_c 17.7884
_cell_angle_alpha 90.00
_cell_angle_beta 90.00
_cell_angle_gamma 90.00
_space_group_name_H-M_alt 'P 1'
_space_group_IT_number 1
loop_
_space_group_symop_operation_xyz
'x,y,z'
loop_
_atom_site_label
_atom_site_type_symbol
_atom_site_fract_x
_atom_site_fract_y
_atom_site_fract_z
Au1 Au 0.6069 0.7500 0.1720
Au2 Au 0.1069 0.7500 0.3280
Au3 Au 0.8931 0.2500 0.6720
Au4 Au 0.3931 0.2500 0.8280
Ni1 Ni 0.2921 0.7500 0.0193
Ni2 Ni 0.7921 0.7500 0.4807
Ni3 Ni 0.2079 0.2500 0.5193
Ni4 Ni 0.7079 0.2500 0.9807
Te1 Te 0.8425 0.7500 0.0517
Te2 Te 0.4578 0.2500 0.0681
Te3 Te 0.2288 0.7500 0.1717
Te4 Te 0.7288 0.7500 0.3283
Te5 Te 0.9578 0.2500 0.4319
Te6 Te 0.3425 0.7500 0.4483
Te7 Te 0.6575 0.2500 0.5517
Te8 Te 0.0422 0.7500 0.5681
Te9 Te 0.2712 0.2500 0.6717
Te10 Te 0.7712 0.2500 0.8283
Te11 Te 0.5422 0.7500 0.9319
Te12 Te 0.1575 0.2500 0.9483
Tl1 Tl 0.9046 0.2500 0.2059
Tl2 Tl 0.4046 0.2500 0.2941
Tl3 Tl 0.5954 0.7500 0.7059
└──

Request:
It remains to find the line further above that holds "(2)", then quote that line and all lines after it there.

Result:
(2)
# TlNiTe3Au PBE optimized geometry
# Energy above the lowest structure with this stoichiometry, meV per atom: 0
# Crystal system: orthorhombic
# ρ, Mg/m³: 8.3
# Total magnetic moment, μB/cell: 0.01
# Calculated total energy, eV/atom: -3.584
data_TlNiTe3Au
_cell_length_a 14.9344
_cell_length_b 3.9208
_cell_length_c 11.4505
_cell_angle_alpha 90.00
_cell_angle_beta 90.00
_cell_angle_gamma 90.00
_space_group_name_H-M_alt 'P 1'
_space_group_IT_number 1
loop_
_space_group_symop_operation_xyz
'x,y,z'
loop_
_atom_site_label
_atom_site_type_symbol
_atom_site_fract_x
_atom_site_fract_y
_atom_site_fract_z
Au1 Au 0.2937 0.2500 0.2496
Au2 Au 0.7937 0.2500 0.2504
Au3 Au 0.2063 0.7500 0.7496
Au4 Au 0.7063 0.7500 0.7504
Ni1 Ni 0.5353 0.7500 0.1370
Ni2 Ni 0.0353 0.7500 0.3630
Ni3 Ni 0.9647 0.2500 0.6370
Ni4 Ni 0.4647 0.2500 0.8630
Te1 Te 0.5961 0.2500 0.0073
Te2 Te 0.1670 0.7500 0.2172
Te3 Te 0.9714 0.2500 0.2335
Te4 Te 0.4714 0.2500 0.2665
Te5 Te 0.6670 0.7500 0.2828
Te6 Te 0.0961 0.2500 0.4927
Te7 Te 0.9039 0.7500 0.5073
Te8 Te 0.3330 0.2500 0.7172
Te9 Te 0.5286 0.7500 0.7335
Te10 Te 0.0286 0.7500 0.7665
Te11 Te 0.8330 0.2500 0.7828
Te12 Te 0.4039 0.7500 0.9927
Tl1 Tl 0.8164 0.7500 0.0318
Tl2 Tl 0.3164 0.7500 0.4682
Tl3 Tl 0.6836 0.2500 0.5318
Tl4 Tl 0.1836 0.2500 0.9682

---

(3)
# TlNiTe3Au PBE optimized geometry
# Energy above the lowest structure with this stoichiometry, meV per atom: 115
# Crystal system: orthorhombic
# ρ, Mg/m³: 9.2
# Total magnetic moment, μB/cell: 0.01
# Calculated total energy, eV/atom: -3.469
data_TlNiTe3Au
_cell_length_a 8.0554
_cell_length_b 4.2603
_cell_length_c 17.7884
_cell_angle_alpha 90.00
_cell_angle_beta 90.00
_cell_angle_gamma 90.00
_space_group_name_H-M_alt 'P 1'
_space_group_IT_number 1
loop_
_space_group_symop_operation_xyz
'x,y,z'
loop_
_atom_site_label
_atom_site_type_symbol
_atom_site_fract_x
_atom_site_fract_y
_atom_site_fract_z
Au1 Au 0.6069 0.7500 0.1720
Au2 Au 0.1069 0.7500 0.3280
Au3 Au 0.8931 0.2500 0.6720
Au4 Au 0.3931 0.2500 0.8280
Ni1 Ni 0.2921 0.7500 0.0193
Ni2 Ni 0.7921 0.7500 0.4807
Ni3 Ni 0.2079 0.2500 0.5193
Ni4 Ni 0.7079 0.2500 0.9807
Te1 Te 0.8425 0.7500 0.0517
Te2 Te 0.4578 0.2500 0.0681
Te3 Te 0.2288 0.7500 0.1717
Te4 Te 0.7288 0.7500 0.3283
Te5 Te 0.9578 0.2500 0.4319
Te6 Te 0.3425 0.7500 0.4483
Te7 Te 0.6575 0.2500 0.5517
Te8 Te 0.0422 0.7500 0.5681
Te9 Te 0.2712 0.2500 0.6717
Te10 Te 0.7712 0.2500 0.8283
Te11 Te 0.5422 0.7500 0.9319
Te12 Te 0.1575 0.2500 0.9483
Tl1 Tl 0.9046 0.2500 0.2059
Tl2 Tl 0.4046 0.2500 0.2941
Tl3 Tl 0.5954 0.7500 0.7059